**Contents:**
# 1
# Sr2CaI6 | the Materials Project database | PBE | relaxed
data_Sr2CaI6
_cell_length_a 8.4261
_cell_length_b 7.9211
_cell_length_c 24.2097
_cell_angle_alpha 90.00
_cell_angle_beta 90.87
_cell_angle_gamma 90.00
_space_group_name_H-M_alt 'P 1 21/c 1'
_space_group_IT_number 14
loop_
_space_group_symop_operation_xyz
'x,y,z'
'-x,-y,-z'
'-x,y+1/2,-z+1/2'
'x,-y+1/2,z+1/2'
loop_
_atom_site_label
_atom_site_fract_x
_atom_site_fract_y
_atom_site_fract_z
Sr1 0.1620 0.0168 0.4081
Sr2 0.2694 0.0555 0.7396
Ca1 0.3596 0.5313 0.5862
I1 0.0205 0.7436 0.1921
I2 0.1121 0.2347 0.1353
I3 0.1371 0.7098 0.0243
I4 0.3673 0.2050 0.9831
I5 0.3947 0.7053 0.3441
I6 0.4808 0.2006 0.3268
# Crystal system: monoclinic
# Offset from the most stable computed form (meV per atom): 26
# Mass density (Mg/m³): 4.015
# Calculated formation energy (meV per atom): -1893



# 2
# Ho12Al7Si | the Materials Project database | PBE | relaxed
data_Ho12Al7Si
_cell_length_a 11.6155
_cell_length_b 11.6155
_cell_length_c 15.1785
_cell_angle_alpha 90.00
_cell_angle_beta 90.00
_cell_angle_gamma 90.00
_space_group_name_H-M_alt 'I 4/m c m'
_space_group_IT_number 140
_space_group_name_Hall '-I 4 2c'
loop_
_atom_site_label
_atom_site_fract_x
_atom_site_fract_y
_atom_site_fract_z
Ho1 0.0000 0.5000 0.1475
Ho2 0.0645 0.2007 0.1362
Ho3 0.1700 0.3300 0.5000
Al1 0.0000 0.0000 0.0000
Al2 0.1179 0.3821 0.0000
Al3 0.1782 0.3218 0.2966
Si1 0.0000 0.0000 0.2500
# Crystal system: tetragonal
# Mass density (Mg/m³): 7.123
# Calculated formation energy (meV per atom): -377


No. 1
Here is a relaxed structure of Li3MnCoO5 from Materials Project. Energies are from GGA+U. Values from VASP.

Results
ΔH_f (0 K): -1.94 eV per atom
Energy relative to the lowest polymorph listed for this composition: 0.18 eV/f.u.

```
&SYSTEM
  ibrav = 0, nat = 20, ntyp = 4
/
ATOMIC_SPECIES
Li 6.94 Li.upf
Mn 54.94 Mn.upf
Co 58.93 Co.upf
O 16.00 O.upf
CELL_PARAMETERS angstrom
2.903 0.000 0.000
1.315 4.895 0.000
1.124 2.316 12.548
ATOMIC_POSITIONS crystal
Li 0.000 0.000 0.000
Li 0.096 0.506 0.299
Li 0.283 0.496 0.911
Li 0.500 0.500 0.500
Li 0.717 0.504 0.089
Li 0.904 0.494 0.701
Mn 0.403 0.011 0.192
Mn 0.597 0.989 0.808
Co 0.192 0.002 0.600
Co 0.808 0.998 0.400
O 0.024 0.781 0.157
O 0.149 0.231 0.448
O 0.220 0.776 0.752
O 0.350 0.239 0.063
O 0.460 0.776 0.347
O 0.540 0.224 0.653
O 0.650 0.761 0.937
O 0.780 0.224 0.248
O 0.851 0.769 0.552
O 0.976 0.219 0.843
```

No. 2
Here is a relaxed structure of Li7Mn4CoO12 from Materials Project. Energies are from GGA+U. Values from VASP.

Results
ΔH_f (0 K): -2.04 eV per atom
Energy relative to the lowest polymorph listed for this composition: 0.95 eV/f.u.

```
&SYSTEM
  ibrav = 0, nat = 24, ntyp = 4
/
ATOMIC_SPECIES
Li 6.94 Li.upf
Mn 54.94 Mn.upf
Co 58.93 Co.upf
O 16.00 O.upf
CELL_PARAMETERS angstrom
2.612 -4.304 0.000
2.612 4.304 0.000
-1.244 0.000 9.677
ATOMIC_POSITIONS crystal
Li 0.000 0.000 0.000
Li 0.089 0.411 0.246
Li 0.249 0.254 0.758
Li 0.413 0.079 0.246
Li 0.589 0.911 0.754
Li 0.746 0.751 0.242
Li 0.921 0.587 0.754
Mn 0.168 0.832 0.500
Mn 0.501 0.499 0.500
Mn 0.669 0.331 0.000
Mn 0.834 0.166 0.500
Co 0.332 0.668 0.000
O 0.032 0.667 0.108
O 0.103 0.101 0.380
O 0.230 0.562 0.618
O 0.333 0.968 0.892
O 0.394 0.396 0.111
O 0.438 0.770 0.382
O 0.564 0.228 0.618
O 0.604 0.606 0.889
O 0.669 0.023 0.109
O 0.772 0.436 0.382
O 0.899 0.897 0.620
O 0.977 0.331 0.891
```


Computed, not measured: a relaxed Np2Si4Mo3 crystal at the PBE-GGA level of DFT.

Cell and atoms, written as extended XYZ:
```
18
Lattice="-4.8195 -4.4087 1.8210 3.8898 -2.7311 -4.9609 4.2174 -2.6434 4.7620" Properties=species:S:1:pos:R:3 pbc="T T T"
Si 0.6071 -5.0834 5.2776
Si 2.6806 -4.6998 -3.6554
Si 1.1623 -1.7973 -1.5899
Si 2.7965 -4.6917 0.3383
Si 2.1254 -7.9859 3.2121
Mo 2.0882 -7.1187 0.8177
Mo 5.2214 -5.3678 0.7241
Np 0.6541 -4.7380 -1.6087
Mo 1.1995 -2.6644 0.8044
Mo -1.9337 -4.4153 0.8980
Si 1.2559 -7.5215 -1.6326
Np 2.6336 -5.0451 3.2308
Np 3.8176 -3.0061 -1.6681
Si 2.0318 -2.2616 3.2548

**What to do:**
Now give back the whole of the material earlier on exactly.

**Reply:**
# 1
# Sr2CaI6 | the Materials Project database | PBE | relaxed
data_Sr2CaI6
_cell_length_a 8.4261
_cell_length_b 7.9211
_cell_length_c 24.2097
_cell_angle_alpha 90.00
_cell_angle_beta 90.87
_cell_angle_gamma 90.00
_space_group_name_H-M_alt 'P 1 21/c 1'
_space_group_IT_number 14
loop_
_space_group_symop_operation_xyz
'x,y,z'
'-x,-y,-z'
'-x,y+1/2,-z+1/2'
'x,-y+1/2,z+1/2'
loop_
_atom_site_label
_atom_site_fract_x
_atom_site_fract_y
_atom_site_fract_z
Sr1 0.1620 0.0168 0.4081
Sr2 0.2694 0.0555 0.7396
Ca1 0.3596 0.5313 0.5862
I1 0.0205 0.7436 0.1921
I2 0.1121 0.2347 0.1353
I3 0.1371 0.7098 0.0243
I4 0.3673 0.2050 0.9831
I5 0.3947 0.7053 0.3441
I6 0.4808 0.2006 0.3268
# Crystal system: monoclinic
# Offset from the most stable computed form (meV per atom): 26
# Mass density (Mg/m³): 4.015
# Calculated formation energy (meV per atom): -1893



# 2
# Ho12Al7Si | the Materials Project database | PBE | relaxed
data_Ho12Al7Si
_cell_length_a 11.6155
_cell_length_b 11.6155
_cell_length_c 15.1785
_cell_angle_alpha 90.00
_cell_angle_beta 90.00
_cell_angle_gamma 90.00
_space_group_name_H-M_alt 'I 4/m c m'
_space_group_IT_number 140
_space_group_name_Hall '-I 4 2c'
loop_
_atom_site_label
_atom_site_fract_x
_atom_site_fract_y
_atom_site_fract_z
Ho1 0.0000 0.5000 0.1475
Ho2 0.0645 0.2007 0.1362
Ho3 0.1700 0.3300 0.5000
Al1 0.0000 0.0000 0.0000
Al2 0.1179 0.3821 0.0000
Al3 0.1782 0.3218 0.2966
Si1 0.0000 0.0000 0.2500
# Crystal system: tetragonal
# Mass density (Mg/m³): 7.123
# Calculated formation energy (meV per atom): -377


No. 1
Here is a relaxed structure of Li3MnCoO5 from Materials Project. Energies are from GGA+U. Values from VASP.

Results
ΔH_f (0 K): -1.94 eV per atom
Energy relative to the lowest polymorph listed for this composition: 0.18 eV/f.u.

```
&SYSTEM
  ibrav = 0, nat = 20, ntyp = 4
/
ATOMIC_SPECIES
Li 6.94 Li.upf
Mn 54.94 Mn.upf
Co 58.93 Co.upf
O 16.00 O.upf
CELL_PARAMETERS angstrom
2.903 0.000 0.000
1.315 4.895 0.000
1.124 2.316 12.548
ATOMIC_POSITIONS crystal
Li 0.000 0.000 0.000
Li 0.096 0.506 0.299
Li 0.283 0.496 0.911
Li 0.500 0.500 0.500
Li 0.717 0.504 0.089
Li 0.904 0.494 0.701
Mn 0.403 0.011 0.192
Mn 0.597 0.989 0.808
Co 0.192 0.002 0.600
Co 0.808 0.998 0.400
O 0.024 0.781 0.157
O 0.149 0.231 0.448
O 0.220 0.776 0.752
O 0.350 0.239 0.063
O 0.460 0.776 0.347
O 0.540 0.224 0.653
O 0.650 0.761 0.937
O 0.780 0.224 0.248
O 0.851 0.769 0.552
O 0.976 0.219 0.843
```

No. 2
Here is a relaxed structure of Li7Mn4CoO12 from Materials Project. Energies are from GGA+U. Values from VASP.

Results
ΔH_f (0 K): -2.04 eV per atom
Energy relative to the lowest polymorph listed for this composition: 0.95 eV/f.u.

```
&SYSTEM
  ibrav = 0, nat = 24, ntyp = 4
/
ATOMIC_SPECIES
Li 6.94 Li.upf
Mn 54.94 Mn.upf
Co 58.93 Co.upf
O 16.00 O.upf
CELL_PARAMETERS angstrom
2.612 -4.304 0.000
2.612 4.304 0.000
-1.244 0.000 9.677
ATOMIC_POSITIONS crystal
Li 0.000 0.000 0.000
Li 0.089 0.411 0.246
Li 0.249 0.254 0.758
Li 0.413 0.079 0.246
Li 0.589 0.911 0.754
Li 0.746 0.751 0.242
Li 0.921 0.587 0.754
Mn 0.168 0.832 0.500
Mn 0.501 0.499 0.500
Mn 0.669 0.331 0.000
Mn 0.834 0.166 0.500
Co 0.332 0.668 0.000
O 0.032 0.667 0.108
O 0.103 0.101 0.380
O 0.230 0.562 0.618
O 0.333 0.968 0.892
O 0.394 0.396 0.111
O 0.438 0.770 0.382
O 0.564 0.228 0.618
O 0.604 0.606 0.889
O 0.669 0.023 0.109
O 0.772 0.436 0.382
O 0.899 0.897 0.620
O 0.977 0.331 0.891
```


Computed, not measured: a relaxed Np2Si4Mo3 crystal at the PBE-GGA level of DFT.

Cell and atoms, written as extended XYZ:
```
18
Lattice="-4.8195 -4.4087 1.8210 3.8898 -2.7311 -4.9609 4.2174 -2.6434 4.7620" Properties=species:S:1:pos:R:3 pbc="T T T"
Si 0.6071 -5.0834 5.2776
Si 2.6806 -4.6998 -3.6554
Si 1.1623 -1.7973 -1.5899
Si 2.7965 -4.6917 0.3383
Si 2.1254 -7.9859 3.2121
Mo 2.0882 -7.1187 0.8177
Mo 5.2214 -5.3678 0.7241
Np 0.6541 -4.7380 -1.6087
Mo 1.1995 -2.6644 0.8044
Mo -1.9337 -4.4153 0.8980
Si 1.2559 -7.5215 -1.6326
Np 2.6336 -5.0451 3.2308
Np 3.8176 -3.0061 -1.6681
Si 2.0318 -2.2616 3.2548